What to do =
Next, say how many lines of the material further down hold the word "extended", as a bare number.

Input =
Material: Li2TiNiO4
Method: DFT, PBE+U
State: optimized geometry

extended XYZ file:
```
32
Lattice="3.032 3.005 -4.120 -2.954 -2.915 -4.292 -5.834 5.898 0.008" Properties=species:S:1:pos:R:3 pbc="T T T"
Li -5.833 2.989 -4.243
Li 0.077 3.000 -4.161
Li -4.356 4.446 -2.097
Li -1.400 1.542 -6.307
Li -5.871 0.034 -4.288
Li -5.795 5.943 -4.198
Li -4.355 1.536 -6.348
Li -7.311 4.441 -2.138
Ti -1.362 4.497 -6.262
Ti -4.318 7.401 -2.052
Ti -2.878 2.994 -4.202
Ti -5.756 5.988 -8.404
Ni -2.916 0.039 -4.247
Ni -1.439 1.497 -2.101
Ni -2.840 5.949 -4.157
Ni -4.317 4.491 -6.303
O -2.756 5.862 -6.232
O 0.122 2.868 -2.030
O -1.451 7.494 -4.085
O -1.528 1.585 -4.175
O -4.304 -1.506 -4.319
O -4.228 4.403 -4.229
O -3.000 0.126 -2.172
O -5.878 3.120 -6.374
O -2.779 3.069 -6.211
O -5.735 5.973 -2.001
O -1.435 4.396 -4.253
O -7.345 4.385 -4.335
O -4.321 1.592 -4.151
O 1.589 1.603 -4.069
O -2.977 2.920 -2.193
O -0.021 0.015 -6.403
```

Computed properties:
As for the theoretical density: 4.17 g/cm3. Its magnetization is 0.00 μB/f.u.

***

Material: LaZnFeMoO6
Method: DFT, PBE+U
State: optimized geometry

extended XYZ file:
```
20
Lattice="4.457 -2.081 2.444 1.593 6.996 3.190 -3.252 -1.364 4.625" Properties=species:S:1:pos:R:3 pbc="T T T"
La 4.581 -0.398 3.450
La 1.891 3.623 5.606
Zn 1.260 0.183 3.803
Zn 5.207 3.091 5.263
Fe -0.200 1.125 7.388
Fe 2.732 -2.775 4.855
Mo 0.633 4.610 8.904
Mo -0.919 2.749 4.033
O 3.904 3.932 4.070
O -0.547 0.851 3.313
O 1.716 5.930 4.371
O 2.816 1.208 4.550
O 0.970 3.191 3.166
O 2.229 -1.506 3.268
O 3.651 2.661 6.925
O 2.182 0.844 1.850
O -0.038 2.269 5.701
O 1.137 -2.369 5.821
O 0.672 5.105 6.997
O 1.811 0.463 7.079
```

Computed properties:
As for the theoretical density: 5.99 g/cm3. Its magnetization is 6.00 μB/f.u. For the offset from the most stable computed form, the calculation gives 0.016 eV/atom.

***

Material: MgV28O70
Method: DFT, PBE+U
State: optimized geometry

extended XYZ file:
```
99
Lattice="-8.567 9.489 8.619 -3.641 -0.387 -3.193 -3.372 -19.770 6.239" Properties=species:S:1:pos:R:3 pbc="T T T"
Mg -3.078 -5.180 -0.401
V -6.038 -12.636 1.776
V -7.191 -15.160 3.527
V -3.007 -9.434 3.665
V -9.094 -16.727 5.818
V -1.439 -2.463 1.197
V -2.601 -4.967 2.900
V -7.718 -9.763 3.321
V -8.966 -11.669 5.725
V -4.147 0.136 -1.928
V -4.609 -6.570 5.176
V -10.782 -13.922 7.371
V -3.150 0.453 2.739
V -9.354 -6.935 4.896
V -10.482 -9.114 7.145
V -5.099 -1.550 4.515
V -6.228 -3.740 6.760
V -12.469 -11.099 8.901
V -4.808 3.262 4.292
V -11.010 -4.126 6.477
V -11.510 -10.825 13.530
V -6.618 0.999 5.939
V -7.889 -0.932 8.310
V -12.845 -5.686 8.827
V -14.127 -8.224 10.465
V -6.506 6.083 5.806
V -12.648 -1.226 7.930
V -8.309 4.502 8.262
V -9.544 1.990 9.901
O -3.292 -18.618 5.852
O -6.753 -16.424 2.354
O -4.809 -12.459 2.797
O -5.978 -15.081 4.588
O -1.544 -8.688 2.811
O -7.297 -13.567 2.690
O -8.685 -15.671 4.434
O -7.857 -16.606 6.837
O -4.208 -9.441 2.598
O -3.473 -10.589 5.172
O -4.820 -6.356 -0.674
O -3.526 -8.162 4.938
O -10.466 -15.607 6.526
O -7.566 -12.416 5.995
O -2.594 -2.946 0.124
O -3.605 -5.161 1.586
O -6.533 -9.662 4.403
O -5.279 -10.496 7.287
O -5.644 -3.731 -0.340
O -3.413 -5.456 4.448
O -10.312 -12.859 5.978
O -5.792 -6.707 4.095
O -9.579 -13.756 8.426
O -2.935 0.329 -0.889
O -1.805 -0.689 2.047
O -8.729 -8.150 3.551
O -9.159 -10.332 6.931
O -1.800 1.749 1.834
O -5.240 -5.361 6.507
O -5.440 -2.483 3.248
O -12.175 -12.788 8.042
O -4.396 0.318 1.732
O -8.146 -6.844 5.955
O -10.541 -8.074 5.660
O -3.610 -0.588 4.156
O -8.348 -9.670 10.687
O -5.040 -2.596 6.001
O -7.429 -3.829 5.694
O -11.245 -10.945 9.931
O -3.416 2.140 3.604
O -10.133 -8.182 8.409
O -10.348 -5.322 5.146
O -10.168 -12.011 12.978
O -6.426 -0.336 4.729
O -6.868 -2.539 8.107
O -10.221 -9.583 12.745
O -12.710 -11.074 12.491
O -6.017 3.094 3.245
O -9.839 -3.991 7.569
O -5.272 2.194 5.685
O -12.197 -5.265 7.178
O -13.493 -7.359 9.003
O -6.674 0.189 7.556
O -9.051 -1.052 7.205
O -11.641 -5.508 9.886
O -12.948 -8.145 11.556
O -8.020 1.747 5.678

Here it is =
3